Page 35 of Sapphire Scars
Rachel cursed.
Mollie froze.
And I brandished the knife on instinct as four Masters appeared.
Sprigs of leaves and foliage debris caped their shoulders as if they’d brushed through an autumn garden. My eyes narrowed as I looked past them, studying the cave walls for a hidden exit.
They hadn’t come in the way we had.
That means…there’s another way.
Mollie and Rachel squished closer to me, forming a wall before Peter on the ground.
The Masters chuckled, their eyes skating over our bloody, dirty bodies.
An older one said, “Well, well, you have been in the wars.”
A younger one with a thin chin strap and oily brown hair snickered. “Where on earth did you get a knife? It looks kinda cute on you.”
My arm trembled, but I didn’t lower the weapon. “Leave us alone.”
The men all laughed, their amusement like sick music.
“I lost my blade somewhere in the caves.” The Master with brown hair grinned like a jackal. “Thank you for giving me one. I would’ve hated to miss out on claiming my prize.”
“Fuck you and fuck your friends.” I bared my teeth. “It’s over. The game is over. You lost.”
“Oh, I never lose, little jewel.” He cocked his head. “Besides, you look as if you’ve been warmed up nicely. Rather…tenderised.” He laughed quietly. “I do love the sight of blood in the evening.”
Chills scattered over my skin.
Mollie shivered just once.
Licking his lips, the Master kept his eyes locked on us, refusing to look at his companions. He stood alone as if he’d led the party but wanted nothing to do with those who’d followed him.
Hefting his paintball gun, he clucked his tongue. “Because you’ve done me a favour by bringing a knife to our party, I’ll give you a favour right back.” He pouted. “I do so hate being the bearer of bad news, but…if you’re looking for Master H, he’s not coming. Your worthless Master took a beating from a blowhole at the start of the game. He left, I’m afraid. I hear he’s back at the castle, enjoying a beer at this very moment, all while sticking his dick in some other slut.”
I wasn’t prepared for how violently that picture hurt.
How the thought of Henri touching another made my insides knot into thorns.
== Next to the entry, the page also holds molecular data ==
+++
# 1
The following is a quantum chemistry calculation of a single C20H16N4O molecule, from OMol25.

The geometry in ORCA input format:
```
! wB97M-V def2-TZVPD RIJCOSX def2/J DEFGRID3
* xyz 0 1
O 2.8521 0.2878 -2.5606
C 3.3008 -0.8002 -1.9109
C 4.5881 -1.2521 -2.2032
C 5.1067 -2.3612 -1.5708
C 4.3506 -3.0459 -0.6276
C 3.0792 -2.6103 -0.3280
C 2.5301 -1.4891 -0.9556
C 1.1742 -1.0782 -0.5958
N 0.6577 0.0062 -1.2180
C -0.5769 0.3945 -0.9488
N -0.9322 1.5601 -1.5526
C -1.8989 2.5268 -1.0708
C -1.9631 2.6139 0.4340
C -0.8207 2.5154 1.2203
C -0.9435 2.5703 2.5979
C -2.2091 2.7320 3.1407
N -3.2991 2.8512 2.4034
C -3.1764 2.7914 1.0919
C -1.4140 -0.3896 -0.0949
C -2.7943 -0.2338 0.1051
C -3.4532 -1.0032 1.0278
C -2.7627 -1.9624 1.7792
C -1.4322 -2.1871 1.5592
C -0.7331 -1.4314 0.5969
N 0.5504 -1.7456 0.3442
H 1.9327 0.4485 -2.2316
H 5.1596 -0.7073 -2.9387
H 6.1045 -2.6966 -1.8126
H 4.7576 -3.9149 -0.1333
H 2.4699 -3.1222 0.3998
H -0.1709 1.9398 -2.0987
H -1.6067 3.5035 -1.4703
H -2.8955 2.3043 -1.4717
H 0.1521 2.3890 0.7657
H -0.0760 2.4867 3.2334
H -2.3613 2.7716 4.2108
H -4.0993 2.8910 0.5335
H -3.3519 0.4671 -0.4929
H -4.5143 -0.8717 1.1769
H -3.2974 -2.5431 2.5165
H -0.8871 -2.9525 2.0882
*
```

Calculated values
Energy above the lowest of the compared OMol25 structures with the same formula, charge and spin: 0.00 kcal/mol
LUMO energy: -0.084 eV
SMILES string: Oc1ccccc1-c1nc(NCc2cccnc2)c2ccccc2n1
E_HOMO: -8.0 eV

---

# 2
The following is a quantum chemistry calculation of a molecular structure, C20H16N6ORhSe in a non-equilibrium geometry, from OMol25.

The geometry in ORCA input format:
```
! wB97M-V def2-TZVPD RIJCOSX def2/J DEFGRID3
* xyz 3 5
Rh -0.8076 -0.0704 0.3422
C -4.5834 2.1874 1.1286
C -3.4577 1.5905 0.3582
O -2.4700 1.1279 0.9646
N -3.5428 1.6170 -0.9738
C -2.4325 1.3408 -1.8702
C -2.2918 -0.1071 -2.3107
C -2.6098 -0.5142 -3.5987
C -2.4160 -1.8399 -3.9593
C -2.0071 -2.7495 -2.9962
C -1.7026 -2.2731 -1.7290
N -1.7913 -0.9808 -1.4264
H -4.2740 2.3460 2.1589
H -5.4485 1.5235 1.1374
H -4.8837 3.1359 0.6847
H -4.4047 1.9452 -1.3963
H -1.5067 1.6408 -1.3355
H -2.5587 1.9726 -2.7505
H -2.9814 0.2015 -4.3143
H -2.5764 -2.1588 -4.9796
H -1.8989 -3.7998 -3.2188
H -1.3944 -2.9561 -0.9454
Se 6.7292 -0.3845 2.4100
N 5.8178 0.5549 1.2329
C 4.5483 0.2538 1.2787
C 3.5141 0.8447 0.4749
C 3.7608 1.8447 -0.4745
C 2.6926 2.3994 -1.1507
C 1.4110 1.9222 -0.8929
N 1.1728 0.9368 -0.0359
C 2.1859 0.4007 0.6650
C 1.8670 -0.6371 1.6340
N 0.5848 -1.0222 1.7557
C 0.2404 -1.9357 2.6529
C 1.1739 -2.5587 3.4809
C 2.5035 -2.2004 3.3690
C 2.8724 -1.2176 2.4394
C 4.2270 -0.7694 2.2685
N 5.2641 -1.1985 2.9373
H 4.7727 2.1751 -0.6544
H 2.8386 3.1945 -1.8669
H 0.5623 2.3650 -1.3992
H -0.8121 -2.1861 2.7259
H 0.8486 -3.3043 4.1936
H 3.2644 -2.6568 3.9859
*
```

Calculated values
LUMO energy (alpha / beta): -9.644 / -13.678 eV
E_HOMO (alpha / beta): -17.0 / -17.0 eV
Expectation value of S²: 6.008

---
+++
He chuckled as I braced myself against such a ridiculous response. “A little possessive, are we? Fancy that you’re his only plaything?” He shook his head and clucked his tongue again. “You poor deluded little thing.” Raising his gun, he aimed directly between my breasts. “Tell you what, I’ll put you out of your misery. I’ll be the Master he never could and release you from all this pain.”
The nude-coloured underwear barely covered me.
The bullseye on my skin distorted and smeared.
But the lines were still visible.
Marking the spot for his bullet.
Mollie and Rachel looked at one another.
The comradery between us faltered with fear.
We could’ve fought off one Master together.
Maybe even two.